## Work order
Could you print the contents further below from the line with "XRD pattern," to the end word for word?

## Contents
# Nd2S2F
Theoretical powder XRD pattern, Cu Kα, 1.54184 Å. Input: DFT lattice parameters and positions (PBE).
Neutral-atom scattering factors, no anomalous dispersion.

Peak list (6 most intense, 2θ from 10° to 90°, by angle)
2theta  I/Imax  h k l
15.35  25  0 0 2
22.98  100  1 0 0
27.76  25  1 0 2
32.77  67  1 1 0
45.77  29  1 0 5
52.93  27  2 1 0

Structural model:
```
Nd2S2F
1.0
3.869 0.000 0.000
0.000 3.869 0.000
0.000 0.000 11.543
Nd S F
2 2 1
Cartesian
0.000 0.000 2.258 Nd
0.000 0.000 9.285 Nd
0.000 0.000 4.782 S
0.000 0.000 6.760 S
0.000 0.000 0.000 F
```

## Completed
Theoretical powder XRD pattern, Cu Kα, 1.54184 Å. Input: DFT lattice parameters and positions (PBE).
Neutral-atom scattering factors, no anomalous dispersion.

Peak list (6 most intense, 2θ from 10° to 90°, by angle)
2theta  I/Imax  h k l
15.35  25  0 0 2
22.98  100  1 0 0
27.76  25  1 0 2
32.77  67  1 1 0
45.77  29  1 0 5
52.93  27  2 1 0

Structural model:
```
Nd2S2F
1.0
3.869 0.000 0.000
0.000 3.869 0.000
0.000 0.000 11.543
Nd S F
2 2 1
Cartesian
0.000 0.000 2.258 Nd
0.000 0.000 9.285 Nd
0.000 0.000 4.782 S
0.000 0.000 6.760 S
0.000 0.000 0.000 F
```